### Assignment
Please type out every line further down that contains the word "space".

### Contents
-- begin --
1.
Here is a relaxed LiFeF3 crystal from the Materials Project. Energies are from PBE+U.

Geometry as POSCAR:
```
LiFeF3
1.0
5.3931 0.0000 0.0000
0.0000 3.0578 0.0000
0.0000 0.0000 14.6871
Li Fe F
4 4 12
Direct
0.0755 0.2500 0.1761
0.4245 0.7500 0.6761
0.5755 0.2500 0.3239
0.9245 0.7500 0.8239
0.1017 0.2500 0.4082
0.3983 0.7500 0.9082
0.6017 0.2500 0.0918
0.8983 0.7500 0.5918
0.0827 0.7500 0.7078
0.1332 0.2500 0.8778
0.1577 0.2500 0.5466
0.3423 0.7500 0.0466
0.3668 0.7500 0.3778
0.4173 0.2500 0.2078
0.5827 0.7500 0.7922
0.6332 0.2500 0.6222
0.6577 0.2500 0.9534
0.8423 0.7500 0.4534
0.8668 0.7500 0.1222
0.9173 0.2500 0.2922
```

Output
ΔE_f = -2.72 eV/atom
space group = No. 62
E = -0.1918 Ha/atom
V = 12.1 Å³ per atom
spin magnetization = 0.80 μB/atom

=====

2.
Here is a relaxed Li3Fe2F9 crystal from the Materials Project. Energies are from PBE+U.

Geometry as POSCAR:
```
Li3Fe2F9
1.0
9.5224 0.0000 0.0000
0.0000 7.8168 0.0000
0.0000 0.0000 10.6822
Li Fe F
12 8 36
Direct
0.0160 0.2500 0.1584
0.0329 0.2500 0.4693
0.1133 0.7500 0.1514
0.3867 0.2500 0.6514
0.4671 0.7500 0.9693
0.4840 0.7500 0.6584
0.5160 0.2500 0.3416
0.5329 0.2500 0.0307
0.6133 0.7500 0.3486
0.8867 0.2500 0.8486
0.9671 0.7500 0.5307
0.9840 0.7500 0.8416
0.2268 0.0605 0.9319
0.2268 0.4395 0.9319
0.2732 0.5605 0.4319
0.2732 0.9395 0.4319
0.7268 0.0605 0.5681
0.7268 0.4395 0.5681
0.7732 0.5605 0.0681
0.7732 0.9395 0.0681
0.0761 0.2500 0.9756
0.0948 0.5525 0.8314
0.0948 0.9475 0.8314
0.1074 0.0604 0.3911
0.1074 0.4396 0.3911
0.1625 0.7500 0.5270
0.1931 0.5523 0.0841
0.1931 0.9477 0.0841
0.2320 0.7500 0.3038
0.2680 0.2500 0.8038
0.3069 0.0523 0.5841
0.3069 0.4477 0.5841
0.3375 0.2500 0.0270
0.3926 0.5604 0.8911
0.3926 0.9396 0.8911
0.4052 0.0525 0.3314
0.4052 0.4475 0.3314
0.4239 0.7500 0.4756
0.5761 0.2500 0.5244
0.5948 0.5525 0.6686
0.5948 0.9475 0.6686
0.6074 0.0604 0.1089
0.6074 0.4396 0.1089
0.6625 0.7500 0.9730
0.6931 0.5523 0.4159
0.6931 0.9477 0.4159
0.7320 0.7500 0.1962
0.7680 0.2500 0.6962
0.8069 0.0523 0.9159
0.8069 0.4477 0.9159
0.8375 0.2500 0.4730
0.8926 0.5604 0.6089
0.8926 0.9396 0.6089
0.9052 0.0525 0.1686
0.9052 0.4475 0.1686
0.9239 0.7500 0.0244
```

Output
ΔE_f = -2.80 eV/atom
space group = No. 62
E = -0.1849 Ha/atom
V = 14.2 Å³ per atom
spin magnetization = 0.71 μB/atom

=====

3.
Here is a relaxed Li2FeF5 crystal from the Materials Project. Energies are from PBE+U.

Geometry as POSCAR:
```
Li2FeF5
1.0
7.4239 0.0000 0.0000
0.0000 5.4650 0.0000
0.0000 0.0000 9.5985
Li Fe F
8 4 20
Direct
0.0669 0.2500 0.2194
0.0856 0.2500 0.9301
0.4144 0.7500 0.4301
0.4331 0.7500 0.7194
0.5669 0.2500 0.2806
0.5856 0.2500 0.5699
0.9144 0.7500 0.0699
0.9331 0.7500 0.7806
0.1826 0.2500 0.5487
0.3174 0.7500 0.0487
0.6826 0.2500 0.9513
0.8174 0.7500 0.4513
0.0000 0.0000 0.5000
0.0000 0.5000 0.5000
0.1114 0.2500 0.7379
0.1360 0.0036 0.0829
0.1360 0.4964 0.0829
0.2372 0.7500 0.8525
0.2628 0.2500 0.3525
0.3640 0.5036 0.5829
0.3640 0.9964 0.5829
0.3886 0.7500 0.2379
0.5000 0.0000 0.0000
0.5000 0.5000 0.0000
0.6114 0.2500 0.7621
0.6360 0.0036 0.4171
0.6360 0.4964 0.4171
0.7372 0.7500 0.6475
0.7628 0.2500 0.1475
0.8640 0.5036 0.9171
0.8640 0.9964 0.9171
0.8886 0.7500 0.2621
```

Output
ΔE_f = -2.87 eV/atom
space group = No. 62
E = -0.1850 Ha/atom
V = 12.2 Å³ per atom
spin magnetization = 0.62 μB/atom

=====

4.
Here is a relaxed LiFeF3 crystal from the Materials Project. Energies are from PBE+U.

Geometry as POSCAR:
```
LiFeF3
1.0
5.3290 0.0000 0.0000
0.0000 8.0927 0.0000
0.0000 0.0000 5.0487
Li Fe F
4 4 12
Direct
0.0000 0.0000 0.0000
0.0000 0.5000 0.0000
0.5000 0.0000 0.5000
0.5000 0.5000 0.5000
0.0744 0.2500 0.4593
0.4256 0.7500 0.9593
0.5744 0.2500 0.0407
0.9256 0.7500 0.5407
0.0749 0.7500 0.1672
0.2032 0.5898 0.7037
0.2032 0.9102 0.7037
0.2968 0.0898 0.2037
0.2968 0.4102 0.2037
0.4251 0.2500 0.6672
0.5749 0.7500 0.3328
0.7032 0.5898 0.7963
0.7032 0.9102 0.7963
0.7968 0.0898 0.2963
0.7968 0.4102 0.2963
0.9251 0.2500 0.8328
```

Output
ΔE_f = -2.76 eV/atom
-- stop --

### Written answer
space group = No. 62
space group = No. 62
space group = No. 62